10 Things I Want To Accomplish In The Next 10 Years
Top 10 Bucket List Items
I’m a person with many interests and many goals. I decided to create a list of my top 10 goals that I would like to achieve in the next ten years (I’m 23 now). Even if I don’t achieve them by my 33rd birthday, I still hope to achieve them.
#1 Run A [Half] Marathon
I joined a recreational track and field team when I was 11-years-old. This sport has allowed me to get an athletic scholarship for college, where I was able to compete in one of the highest levels right below the professional level. Oddly enough, I’ve always had a love/hate relationship with running. I used to dread running workouts because I had terrible endurance compared to my teammates and I had exercise induced asthma (ironic, right?). As side from my natural jumping ability, this is another reason why I pted for the jumping events; I only had to run for 100 feet before jumping. When my collegiate career ended, I took off to allow my body to fully recover from the abuse my legs took from high, long and triple jumping for the past 9 years. I started running again after 2 months because I was bored from not working out, and I realized it gave me therapeutic feel (which never happened during my years in track). I ran a local 5k race and was surprised how quickly I ran it, given the amount of time I took off. Since then, I became motivated to increase my mileage. Furthest I’ve ever ran was 10 miles. I hope to work my way up to running a half marathon and then a marathon one day.
#2 Get A Scuba Diving Certification
As a child, I watched Shark Week on the Discovery Channel. Even though I had no interest in voluntarily swimming with great white sharks, I did want to explore the deep blue sea. It’s a whole nother world down there. I heard Thailand is a common and affordable place to get you diving certification. Since I will be based in Asia later this year, I hope to venture back to Thailand and take classes there.
#3 Become Multilingual
I studied Spanish in grade school and for two semesters in university. I regret not practicing the language outside of the classroom and taking more foreign language courses in college (I was just 2 classes away from completing a minor requirement). Learning Spanish was so easy to me. I hope to improve my fluency in the language so I can have complex conversations in the language. I also want to learn Mandarin Chinese outside of the basics. I also want to learn Arabic, French, Hebrew, Portuguese, and Swahili. A lot of native English speakers don’t see the need in learning another language because everyone is trying to learn theirs. I think learning multiple languages can open up the doors in employment opportunities, and it can give you a whole new perspective in how you think and view the world.
#4 Visit A Country That Isn’t A Popular Travel Destination
This is can be relative. A popular destination from a person who is of A nationality can be different from a person who is of B nationality. I don’t want to visit a least traveled country for brownie points on Instagram. I wrote a post about the special snowflake syndrome victims in a previous post. I want to visit a least-traveled country because I most likely no absolutely nothing about it and believe it would be a great learning experience.
#5 Read Texts Of Every Major Religion
I was raised in a Christian household (Baptist to be exact). Over the years, I’ve become a bit skeptical about certain things because I was never given an [convincing enough] answer to things in the Bible that were unsaid and/or sounded contradicting. Nowadays, I don’t subscribe to any religious title; I simply believe what I believe. Religion is a very sensitive topic to a lot of people because everyone loves to rant about how their belief is right and why everyone else’s is wrong (or why every belief is wrong in the eyes of atheists). I’ve always had interest in learning about how people practice their spiritual beliefs. Most people’s religious influences are based on the region of the world they grew up in. For example, if I was born in Thailand, there’s a very good chance that I’ll be Buddhist because that’s the primary belief of that country. One thing religion debaters often miss completely is all of the great philosophy points in each belief that can be applied to their daily lives. Is religion a controlling mechanism? Yes, it can be; history is more than enough proof that religion has been used in a destructive manner. Even though I personally believe that all of the world’s and life’s answers aren’t solely found in religious texts, I still want to read them all from cover to cover to get a better understanding of different viewpoints and to connect the dots.
#6 Learn A Martial Art
A lot of people assume I know how to fight because I’m tall with an athletic build; however it’s far from the truth. I can sneak some good hits in, but I’m not good at fighting. I want to learn a martial art of some sort, maybe jiu jitsu.
#7 Go Volcano Boarding
I saw a video on YouTube of people going volcano boarding in Nicaragua. I didn’t even know it was a thing. I became easily amused and wanted to do it. Though I wouldn’t mind traveling to Nicaragua, I won’t if any countries in East Asia offer the same activity (mainly since I’ll be based in that region of the world for the next few years).
#8 Write A Book
I have some ideas in the works, but I’ll go into detail once I’m closer to the finished product :)
#9 Visit Every Continent At Least Once
[Records of crystals, as found in the file]
=====
Entry 1:
Diffraction record for Sc3Rh. The X-ray diffraction stick pattern is calculated, not measured: it uses a DFT-relaxed cell (GGA-PBE, Alexandria) and CuKα.

Principal peaks in the range 2θ = 10–90°, by intensity:
d (Å)  I/Imax  h k l
2.219  100  1 3 2
2.408  84  2 4 0
3.962  62  2 0 1
2.731  51  1 1 2
7.615  35  1 1 0
2.329  29  3 3 1
2.112  28  5 1 0
4.639  27  1 1 1

Structural model:
```
data_Sc3Rh
_chemical_formula_sum 'Sc24 Rh8'
_space_group_name_H-M_alt 'P 42/n'
_space_group_IT_number 86
_cell_length_a 10.769
_cell_length_b 10.769
_cell_length_c 5.851
_cell_angle_alpha 90.00
_cell_angle_beta 90.00
_cell_angle_gamma 90.00
loop_
_space_group_symop_operation_xyz
'x,y,z'
'-x,-y,-z'
'-y,x+1/2,z+1/2'
'y,-x+1/2,-z+1/2'
'-x+1/2,-y+1/2,z'
'x+1/2,y+1/2,-z'
'y+1/2,-x,z+1/2'
'-y+1/2,x,-z+1/2'
loop_
_atom_site_label
_atom_site_type_symbol
_atom_site_fract_x
_atom_site_fract_y
_atom_site_fract_z
Sc1 Sc 0.038 0.593 0.208
Sc2 Sc 0.113 0.193 0.025
Sc3 Sc 0.118 0.663 0.698
Rh1 Rh 0.055 0.185 0.518
```

Entry 2:
Diffraction record for ZnSn2O4. The X-ray diffraction stick pattern is calculated, not measured: it uses a DFT-relaxed cell (GGA-PBE, Alexandria) and CuKα.

Principal peaks in the range 2θ = 10–90°, by intensity:
d (Å)  I/Imax  h k l
5.628  100  0 0 2
7.405  99  0 1 0
6.186  76  0 1 1
2.667  64  2 1 0
2.633  55  0 2 3
2.451  51  2 1 -4
2.863  45  2 1 -2
1.553  41  4 0 -4

Structural model:
```
data_ZnSn2O4
_chemical_formula_sum 'Zn4 Sn8 O16'
_space_group_name_H-M_alt 'P 1 2/c 1'
_space_group_IT_number 13
_cell_length_a 6.251
_cell_length_b 7.405
_cell_length_c 12.303
_cell_angle_alpha 90.00
_cell_angle_beta 113.82
_cell_angle_gamma 90.00
loop_
_space_group_symop_operation_xyz
'x,y,z'
'-x,-y,-z'
'-x,y,-z+1/2'
'x,-y,z+1/2'
loop_
_atom_site_label
_atom_site_type_symbol
_atom_site_fract_x
_atom_site_fract_y
_atom_site_fract_z
Zn1 Zn 0.000 0.026 0.250
Zn2 Zn 0.500 0.223 0.250
Sn1 Sn 0.000 0.000 0.000
Sn2 Sn 0.193 0.375 0.441
Sn3 Sn 0.500 0.000 0.000
O1 O 0.107 0.192 0.141
O2 O 0.172 0.113 0.900
O3 O 0.305 0.159 0.572
O4 O 0.418 0.222 0.382
```

Entry 3:
Diffraction record for K3TiTe4. The X-ray diffraction stick pattern is calculated, not measured: it uses a DFT-relaxed cell (GGA-PBE, Alexandria) and CuKα.

Principal peaks in the range 2θ = 10–90°, by intensity:
d (Å)  I/Imax  h k l
4.057  100  3 1 0
3.592  73  0 2 0
2.873  49  3 1 -2
2.892  46  1 1 -2
7.374  43  2 0 0
2.633  31  4 2 -1
4.796  31  1 1 -1
3.872  30  4 0 -1

Structural model:
```
data_K3TiTe4
_chemical_formula_sum 'K6 Ti2 Te8'
_space_group_name_H-M_alt 'C 1 2 1'
_space_group_IT_number 5
_cell_length_a 15.983
_cell_length_b 7.183
_cell_length_c 6.443
_cell_angle_alpha 90.00
_cell_angle_beta 112.66
_cell_angle_gamma 90.00
loop_
_space_group_symop_operation_xyz
'x,y,z'
'-x,y,-z'
'x+1/2,y+1/2,z'
'-x+1/2,y+1/2,-z'
loop_
_atom_site_label
_atom_site_type_symbol
_atom_site_fract_x
_atom_site_fract_y
_atom_site_fract_z
K1 K 0.000 0.000 0.000
K2 K 0.214 0.398 0.715
Ti1 Ti 0.000 0.725 0.500
=====
[Here the piece continues]
So far I’ve visit 3 of 7….or 6 if you subscribe to America being one big continent (I’m still planning on visiting South America anyways if you view the continent that way). In all honestly, I’m interested in a visiting a country on every major region of the world, so by default, if all goes well I can achieve this goal.
#10 Learn How To Draw/Paint
I suck at drawing. I’m more of a doodle, but that doesn’t even look that interesting half of the time. Art was an interest I put at the back burner because I wasn’t that talented in it, so I opted for art history classes when I was in university to get my artistic fix.
What’s on your bucket list?